**File**
- - -
(1)
First-principles (PBE with a Hubbard U) data for an optimized crystal structure of BaTbMn2O6, as listed in Materials Project.

E_form: -2591 kJ/mol of formula units
total energy: -147.92 eV for the cell shown
spin magnetization: 14.00 Bohr magnetons per cell

a b c (Å): 5.5360 5.5822 7.8236
angles (deg): 90.00 90.00 90.00
Closest atoms and distances in Å follow each position.
Atoms (fractional coordinates):
1 Mn 0.2500 0.2489 0.2423  6 O 1.94-2.02
2 O 0.2500 0.3215 0.0000  2 Mn 1.94
3 Mn 0.2500 0.2489 0.7577  6 O 1.94-2.02
4 Ba 0.7500 0.2594 0.5000  8 O 2.66-2.92
5 Mn 0.7500 0.7511 0.7577  6 O 1.94-2.02
6 O 0.0000 0.0000 0.8070  2 Mn 2.00
7 O 0.0000 0.0000 0.1930  2 Mn 2.00
8 O 0.0000 0.5000 0.2457  2 Mn 1.97
9 Tb 0.2500 0.7411 0.0000  5 O 2.34-2.51
10 O 0.0000 0.5000 0.7543  2 Mn 1.97
11 Ba 0.2500 0.7406 0.5000  8 O 2.66-2.92
12 O 0.5000 0.0000 0.1930  2 Mn 2.00
13 O 0.7500 0.7821 0.5000  2 Mn 2.02
14 Tb 0.7500 0.2589 0.0000  5 O 2.34-2.51
15 O 0.5000 0.5000 0.7543  2 Mn 1.97
16 O 0.5000 0.5000 0.2457  2 Mn 1.97
17 O 0.5000 0.0000 0.8070  2 Mn 2.00
18 O 0.7500 0.6785 0.0000  2 Mn 1.94
19 Mn 0.7500 0.7511 0.2423  6 O 1.94-2.02
20 O 0.2500 0.2179 0.5000  2 Mn 2.02

---

(2)
First-principles (PBE with a Hubbard U) data for an optimized crystal structure of Ba2Tb2Mn4O11, as listed in Materials Project.

E_form: -5088 kJ/mol of formula units
total energy: -285.37 eV for the cell shown
spin magnetization: 32.00 Bohr magnetons per cell

a b c (Å): 9.6108 9.6108 9.6108
angles (deg): 132.94 129.09 71.83
Closest atoms and distances in Å follow each position.
Atoms (fractional coordinates):
1 O 0.5850 0.6145 0.9704  2 Mn 1.94
2 O 0.0471 0.0912 0.9558  2 Mn 1.99
3 O 0.2514 0.0014 0.7500  2 Mn 1.93-2.13
4 Mn 0.3757 0.1257 0.7500  4 O 1.93-1.94
5 O 0.4150 0.3855 0.0296  2 Mn 1.94
6 O 0.3315 0.3156 0.4480  1 Mn 1.95
7 O 0.3315 0.8835 0.0159  1 Mn 1.95
8 Mn 0.3757 0.6257 0.2500  4 O 1.93-1.94
9 Ba 0.5007 0.2489 0.2518  9 O 2.81-3.11
10 O 0.6685 0.6844 0.5520  1 Mn 1.95
11 Mn 0.6243 0.3743 0.7500  4 O 1.93-1.94
12 Tb 0.7203 0.4965 0.2238  4 O 2.34-2.36
13 Ba 0.0029 0.2511 0.7518  9 O 2.81-3.11
14 O 0.1324 0.1844 0.5159  1 Mn 1.95
15 O 0.3559 0.8855 0.4704  2 Mn 1.94
16 O 0.5000 0.2500 0.7500  2 Mn 1.94
17 Mn 0.8858 0.6358 0.7500  5 O 1.95-2.13
18 O 0.6441 0.1145 0.5296  2 Mn 1.94
19 O 0.8676 0.3835 0.0520  1 Mn 1.95
20 Ba 0.9971 0.7489 0.2482  9 O 2.81-3.11
21 Tb 0.7274 0.0035 0.7238  4 O 2.34-2.36
22 O 0.5000 0.7500 0.2500  2 Mn 1.94
23 O 0.2514 0.5014 0.2500  2 Mn 1.93-2.13
24 Mn 0.8858 0.1358 0.2500  5 O 1.95-2.13
25 O 0.8646 0.4088 0.4558  2 Mn 1.99
26 O 0.8676 0.8156 0.4841  1 Mn 1.95
27 Tb 0.2797 0.5035 0.7762  4 O 2.34-2.36
28 Mn 0.6243 0.8743 0.2500  4 O 1.93-1.94
29 O 0.9529 0.9088 0.0442  2 Mn 1.99
30 Tb 0.2726 0.9965 0.2762  4 O 2.34-2.36
31 O 0.1354 0.5912 0.5442  2 Mn 1.99
32 Ba 0.4993 0.7511 0.7482  9 O 2.81-3.11
33 O 0.1324 0.6165 0.9480  1 Mn 1.95
34 Mn 0.1142 0.3642 0.2500  5 O 1.95-2.13
35 O 0.6685 0.1165 0.9841  1 Mn 1.95
36 Mn 0.1142 0.8642 0.7500  5 O 1.95-2.13
37 O 0.7486 0.9986 0.2500  2 Mn 1.93-2.13
38 O 0.7486 0.4986 0.7500  2 Mn 1.93-2.13

---

(3)
First-principles (PBE with a Hubbard U) data for an optimized crystal structure of Ba2MnTeO6, as listed in Materials Project.

E_form: -2393 kJ/mol of formula units
total energy: -259.38 eV for the cell shown
spin magnetization: 0.00 Bohr magnetons per cell

a b c (Å): 8.3385 8.3384 10.2149
angles (deg): 65.91 114.09 90.00
Closest atoms and distances in Å follow each position.
Atoms (fractional coordinates):
1 Ba 0.6250 0.3750 0.7500  12 O 2.95
2 Mn 0.5000 0.5000 0.0000  6 O 2.20
3 O 0.0000 0.2637 0.0000  1 Te 1.97, 1 Mn 2.20
4 Ba 0.3750 0.6250 0.2500  12 O 2.95
5 O 0.2637 0.0000 0.0000  1 Te 1.97, 1 Mn 2.20
6 O 0.2500 0.9863 0.5000  1 Te 1.97, 1 Mn 2.20
7 O 0.2500 0.5137 0.5000  1 Te 1.97, 1 Mn 2.20
8 O 0.6319 0.3681 0.2638  1 Te 1.97, 1 Mn 2.20
9 Ba 0.3750 0.1250 0.2500  12 O 2.95
10 O 0.8681 0.1319 0.7363  1 Te 1.97, 1 Mn 2.20
11 Mn 0.2500 0.2500 0.5000  6 O 2.20
- - -

**Work order**
Print the calculation results further up unchanged.

**Solution**
(1)
First-principles (PBE with a Hubbard U) data for an optimized crystal structure of BaTbMn2O6, as listed in Materials Project.

E_form: -2591 kJ/mol of formula units
total energy: -147.92 eV for the cell shown
spin magnetization: 14.00 Bohr magnetons per cell

a b c (Å): 5.5360 5.5822 7.8236
angles (deg): 90.00 90.00 90.00
Closest atoms and distances in Å follow each position.
Atoms (fractional coordinates):
1 Mn 0.2500 0.2489 0.2423  6 O 1.94-2.02
2 O 0.2500 0.3215 0.0000  2 Mn 1.94
3 Mn 0.2500 0.2489 0.7577  6 O 1.94-2.02
4 Ba 0.7500 0.2594 0.5000  8 O 2.66-2.92
5 Mn 0.7500 0.7511 0.7577  6 O 1.94-2.02
6 O 0.0000 0.0000 0.8070  2 Mn 2.00
7 O 0.0000 0.0000 0.1930  2 Mn 2.00
8 O 0.0000 0.5000 0.2457  2 Mn 1.97
9 Tb 0.2500 0.7411 0.0000  5 O 2.34-2.51
10 O 0.0000 0.5000 0.7543  2 Mn 1.97
11 Ba 0.2500 0.7406 0.5000  8 O 2.66-2.92
12 O 0.5000 0.0000 0.1930  2 Mn 2.00
13 O 0.7500 0.7821 0.5000  2 Mn 2.02
14 Tb 0.7500 0.2589 0.0000  5 O 2.34-2.51
15 O 0.5000 0.5000 0.7543  2 Mn 1.97
16 O 0.5000 0.5000 0.2457  2 Mn 1.97
17 O 0.5000 0.0000 0.8070  2 Mn 2.00
18 O 0.7500 0.6785 0.0000  2 Mn 1.94
19 Mn 0.7500 0.7511 0.2423  6 O 1.94-2.02
20 O 0.2500 0.2179 0.5000  2 Mn 2.02

---

(2)
First-principles (PBE with a Hubbard U) data for an optimized crystal structure of Ba2Tb2Mn4O11, as listed in Materials Project.

E_form: -5088 kJ/mol of formula units
total energy: -285.37 eV for the cell shown
spin magnetization: 32.00 Bohr magnetons per cell

a b c (Å): 9.6108 9.6108 9.6108
angles (deg): 132.94 129.09 71.83
Closest atoms and distances in Å follow each position.
Atoms (fractional coordinates):
1 O 0.5850 0.6145 0.9704  2 Mn 1.94
2 O 0.0471 0.0912 0.9558  2 Mn 1.99
3 O 0.2514 0.0014 0.7500  2 Mn 1.93-2.13
4 Mn 0.3757 0.1257 0.7500  4 O 1.93-1.94
5 O 0.4150 0.3855 0.0296  2 Mn 1.94
6 O 0.3315 0.3156 0.4480  1 Mn 1.95
7 O 0.3315 0.8835 0.0159  1 Mn 1.95
8 Mn 0.3757 0.6257 0.2500  4 O 1.93-1.94
9 Ba 0.5007 0.2489 0.2518  9 O 2.81-3.11
10 O 0.6685 0.6844 0.5520  1 Mn 1.95
11 Mn 0.6243 0.3743 0.7500  4 O 1.93-1.94
12 Tb 0.7203 0.4965 0.2238  4 O 2.34-2.36
13 Ba 0.0029 0.2511 0.7518  9 O 2.81-3.11
14 O 0.1324 0.1844 0.5159  1 Mn 1.95
15 O 0.3559 0.8855 0.4704  2 Mn 1.94
16 O 0.5000 0.2500 0.7500  2 Mn 1.94
17 Mn 0.8858 0.6358 0.7500  5 O 1.95-2.13
18 O 0.6441 0.1145 0.5296  2 Mn 1.94
19 O 0.8676 0.3835 0.0520  1 Mn 1.95
20 Ba 0.9971 0.7489 0.2482  9 O 2.81-3.11
21 Tb 0.7274 0.0035 0.7238  4 O 2.34-2.36
22 O 0.5000 0.7500 0.2500  2 Mn 1.94
23 O 0.2514 0.5014 0.2500  2 Mn 1.93-2.13
24 Mn 0.8858 0.1358 0.2500  5 O 1.95-2.13
25 O 0.8646 0.4088 0.4558  2 Mn 1.99
26 O 0.8676 0.8156 0.4841  1 Mn 1.95
27 Tb 0.2797 0.5035 0.7762  4 O 2.34-2.36
28 Mn 0.6243 0.8743 0.2500  4 O 1.93-1.94
29 O 0.9529 0.9088 0.0442  2 Mn 1.99
30 Tb 0.2726 0.9965 0.2762  4 O 2.34-2.36
31 O 0.1354 0.5912 0.5442  2 Mn 1.99
32 Ba 0.4993 0.7511 0.7482  9 O 2.81-3.11
33 O 0.1324 0.6165 0.9480  1 Mn 1.95
34 Mn 0.1142 0.3642 0.2500  5 O 1.95-2.13
35 O 0.6685 0.1165 0.9841  1 Mn 1.95
36 Mn 0.1142 0.8642 0.7500  5 O 1.95-2.13
37 O 0.7486 0.9986 0.2500  2 Mn 1.93-2.13
38 O 0.7486 0.4986 0.7500  2 Mn 1.93-2.13

---

(3)
First-principles (PBE with a Hubbard U) data for an optimized crystal structure of Ba2MnTeO6, as listed in Materials Project.

E_form: -2393 kJ/mol of formula units
total energy: -259.38 eV for the cell shown
spin magnetization: 0.00 Bohr magnetons per cell

a b c (Å): 8.3385 8.3384 10.2149
angles (deg): 65.91 114.09 90.00
Closest atoms and distances in Å follow each position.
Atoms (fractional coordinates):
1 Ba 0.6250 0.3750 0.7500  12 O 2.95
2 Mn 0.5000 0.5000 0.0000  6 O 2.20
3 O 0.0000 0.2637 0.0000  1 Te 1.97, 1 Mn 2.20
4 Ba 0.3750 0.6250 0.2500  12 O 2.95
5 O 0.2637 0.0000 0.0000  1 Te 1.97, 1 Mn 2.20
6 O 0.2500 0.9863 0.5000  1 Te 1.97, 1 Mn 2.20
7 O 0.2500 0.5137 0.5000  1 Te 1.97, 1 Mn 2.20
8 O 0.6319 0.3681 0.2638  1 Te 1.97, 1 Mn 2.20
9 Ba 0.3750 0.1250 0.2500  12 O 2.95
10 O 0.8681 0.1319 0.7363  1 Te 1.97, 1 Mn 2.20
11 Mn 0.2500 0.2500 0.5000  6 O 2.20